Thursday, May 30, 2013

# Here the entry breaks off for records of crystals
=====
Structure and simulated XRD peak list of Rb4Pa3MoO12 (a cell relaxed with PBE+U; λ = 1.5418 Å (Cu Kα)).
No peak broadening, texture or thermal motion is included.

```
Rb4Pa3MoO12
1.0
-4.3256 4.3256 4.3256
4.3256 -4.3256 4.3256
4.3256 4.3256 -4.3256
Rb Pa Mo O
4 3 1 12
direct
0.0000 0.0000 0.5000
0.0000 0.5000 0.0000
0.5000 0.0000 0.0000
0.5000 0.5000 0.5000
0.0000 0.5000 0.5000
0.5000 0.0000 0.5000
0.5000 0.5000 0.0000
0.0000 0.0000 0.0000
0.0000 0.2381 0.2381
0.0000 0.7619 0.7619
0.2381 0.0000 0.2381
0.2381 0.2381 0.0000
0.2500 0.5000 0.7500
0.2500 0.7500 0.5000
0.5000 0.2500 0.7500
0.5000 0.7500 0.2500
0.7500 0.2500 0.5000
0.7500 0.5000 0.2500
0.7619 0.0000 0.7619
0.7619 0.7619 0.0000
```

Main lines, by angle (2θ from 10° to 80°):
| 2θ (°) | intensity |
| --- | --- |
| 20.5 | 260 |
| 29.2 | 1000 |
| 41.8 | 295 |
| 51.8 | 418 |
| 60.5 | 189 |
| 68.6 | 186 |

----------

The following is a calculated powder diffraction line list of Ce3Pr4PuTe8. It was derived from a GGA-PBE-relaxed structure, using λ = 1.5418 Å (Cu Kα).

Cell and atoms:
Unit cell a=15.5429 b=8.9752 c=9.0491 alpha=90.00 beta=124.97 gamma=90.00
Space group C2/m (No. 12)
Symmetry-distinct sites (fractional):
Ce 0.0000 0.0000 0.0000
Ce 0.2500 0.2500 0.5000
Pr 0.0000 0.0000 0.5000
Pr 0.0000 0.5000 0.5000
Pr 0.2500 0.2500 0.0000
Pu 0.0000 0.5000 0.0000
Te 0.0012 0.2519 0.2472
Te 0.2472 0.5000 0.2493
Te 0.2488 0.0000 0.2508

Top 6 peaks for 2θ from 15° to 90°, low angle first:
d [Å], 2θ/deg, I (rel.), index
3.185, 28.01, 1000, 4 0 0
2.261, 39.86, 388, 2 2 2
2.244, 40.19, 379, 0 4 0
1.834, 49.70, 205, 4 4 0
1.429, 65.29, 180, 6 2 2
1.420, 65.76, 176, 2 6 -2

---

The following is a calculated powder diffraction line list of BaCu2HgO2. It was derived from a GGA-PBE-relaxed structure, using λ = 1.5418 Å (Cu Kα).

Cell and atoms:
Unit cell a=4.5314 b=6.2172 c=8.4189 alpha=90.00 beta=105.61 gamma=90.00
Space group P2_1/m (No. 11)
Symmetry-distinct sites (fractional):
Ba 0.2079 0.2500 0.4154
Cu 0.3982 0.2500 0.7952
Cu 0.4307 0.7500 0.8634
Hg 0.0166 0.7500 0.0346
O 0.3435 0.5206 0.6873

Top 6 peaks for 2θ from 15° to 90°, low angle first:
d [Å], 2θ/deg, I (rel.), index
3.109, 28.72, 928, 0 2 0
3.032, 29.46, 457, 1 1 -2
2.637, 33.99, 1000, 1 0 2
2.266, 39.78, 513, 2 0 -1
2.011, 45.08, 962, 1 2 2
1.831, 49.80, 412, 2 2 -1

---

The following is a calculated powder diffraction line list of AgCl3F12. It was derived from a GGA-PBE-relaxed structure, using λ = 1.5418 Å (Cu Kα).

Cell and atoms:
Unit cell a=8.1529 b=8.4220 c=8.6989 alpha=78.35 beta=78.90 gamma=80.99
Space group P1 (No. 1)
Symmetry-distinct sites (fractional):
Ag 0.0000 0.0000 0.0000
Ag 0.4993 0.5012 0.5004
Cl 0.0420 0.7726 0.4180
Cl 0.2706 0.5550 0.9125
Cl 0.4083 0.0998 0.7497
Cl 0.5908 0.9012 0.2493
Cl 0.7318 0.4431 0.0897
Cl 0.9556 0.2313 0.5832
F 0.1205 0.9284 0.1822
F 0.1331 0.0924 0.5414
F 0.1342 0.7429 0.8701
F 0.1590 0.5214 0.0934
F 0.1796 0.1464 0.8988
F 0.2257 0.6262 0.3835
F 0.3497 0.3275 0.6132
F 0.4026 0.3748 0.9596
=====
# So much for the records of crystals

Week 8: Cardio and Cake

This week included some interesting elements.  My Personal Trainer (PT) was away and I was left to my own devices in the gym. I do not like being in the gym by myself.  I prefer to work out with my PT or exercise partner.  I feel better when I am with someone who knows that my inability to complete simple sentences is a sign of low blood sugar.  However, if I do have to go alone, I choose a time when there are other people at the gym.  My PT had texted me an exercise plan and my gym time was like a military exercise - get in, get it done and get out!  I look forward to once again exercising under the watchful guidance of PT or the company of  an exercise partner.
It was also the weekend of the Graduation Open Houses.  As a church youth workers, I have the privilege of walking with children and teenagers through an important, formative time in their lives.  It is filled with joy and laughter, and occasionally, tears and sadness.  I get to be part of the best and the worst of their lives.  I am truly blessed. I also get to be part of their family celebrations, including Graduation.
The Graduation Open House is a phenomenon in which a young adult's family throws a huge bash, inviting all of their friends, family and anyone who stumbles in off the street, feeding them copious amounts of food.  It is often punctuated by the hosts' plea to "eat more food".  What are we as gracious guests to do?!?
The Graduation Open House presents many challenges for those of us trying to get the scale to move backwards.  The Open House always includes the graduates' favorite foods such as meatballs and cookie salad.  I attended an Open House last year and it was apparent that grandma had been cooking for six months to feed a crowd roughly the population of Pennsylvania.  Grandma guided me firmly by the arm to the buffet table and opened each roaster full of amazing German food.  When I tried to decline her offering, she defended her position by saying, "It's all good for you.  I made it with cream and eggs and butter and ...".  How can you argue with logic like that?!?
I was invited to five Graduation Open Houses for the Class of 2013.  I had a warm up on the weekend before Graduation and navigated the food with my dietician's voice in my head, "remember, if it tastes good, spit it out".  The food offered was amazing and I hadn't had lunch, so I enjoyed the pulled pork and some fruit pizza.  What?  It has the word "fruit" in it?
The following Saturday the other four Open Houses were held between noon and 6:00 p.m.  I got up, had a healthy breakfast, went to the gym for some cardio, came home and enjoyed a light, healthy lunch.  My game plan was:  only one piece of cake, fruit and veggies whenever I could find them and a sampling of family favorites.  Bring on the parties!
The afternoon did not disappoint, traveling from one table laden with wonderful food to the next.  They all included appetizers, salads and, of course, cake.  All the food looked wonderful.  There was a great diversity in the offering and each crockpot held something delicious. Many of the parties had pulled pork.
One year, I had seven Graduation Open Houses to attend.  Every Open House served sloppy joes.  A great food to serve a crowd and a very economical choice, to be sure.  I couldn't look at sloppy joes for about six months after that.
All of the families were wonderful hosts, catering to our every need and making sure that you had gotten enough to eat.  It was the typical May day on the prairie, breezy with a storm promised later.  At one house, we sat out on the deck and enjoyed the sunshine while it still shined.  Graduation in our town is typically done outside.  When the weather does not cooperate, the ceremony is moved in to the high school gym and seating becomes a premium.  Each graduate is alloted four tickets.  If their immediate family includes more than four people, choices have to be made.  OK, well Mom gets to come because she birthed you.  Dad gets to come because he's married to mom.  Now what do you do with siblings and grandparents?  My prayers are with those families!
I arrived home about three hours a bit tired from all the celebrating and proud for the amazing people my "kids" have become.  My "kids" and I have spent many hours together on road trips, retreats, concerts and lock ins.  I know their preferences, their struggles and their families.  I have sat up with them laughing, snacking and dancing late into the night.  I have prayed them through tough decisions, bad choices and amazing comebacks!  Now comes the hard part - watching them fly.  I know that God has His hand over them and He's got a plan for their lives.  It will be a joy to watch them learn, grow and celebrate their future accomplishments, weddings and children.  And all of those celebrations will be sweet because there might be cake there!


Steve at Random said...

I missed the open houses because of company. I really wanted to congratulate your "kids" they are outstanding young adults. And I wanted to eat some fruit pizza and pulled pork also. But alas, I was left to the chore of grilling brats, hot dogs, hamburgers, chicken, steaks, etc. I'm starting to feel like Famous Dave...if it moves, we can BBQ it.

Lisa Grace said...

-- These records of crystals were left in the article by mistake --
/*
# 1
For K2NaTlBr6, a PBE-relaxed structure gives the computed X-ray powder pattern in this record (Cu Kα X-rays).

Most intense lines, 10° ≤ 2θ ≤ 90°, in order of falling intensity:
31.6 deg, d 2.835, I 1000; 15.6 deg, d 5.670, I 787; 45.2 deg, d 2.005, I 716; 13.5 deg, d 6.547, I 556; 35.4 deg, d 2.536, I 431; 27.2 deg, d 3.274, I 389; 74.9 deg, d 1.268, I 310; 26.1 deg, d 3.419, I 287; 56.2 deg, d 1.637, I 246; 83.5 deg, d 1.157, I 235

Cell: 8.019 8.019 8.019 Å, 60.00 60.00 60.00°
Element x y z (fractional)
K: 0.250 0.250 0.250
K: 0.750 0.750 0.750
Na: 0.000 0.000 0.000
Tl: 0.500 0.500 0.500
Br: 0.255 0.255 0.745
Br: 0.255 0.745 0.255
Br: 0.255 0.745 0.745
Br: 0.745 0.255 0.255
Br: 0.745 0.255 0.745
Br: 0.745 0.745 0.255

=====

# 2
For KNd2Br5, a PBE-relaxed structure gives the computed X-ray powder pattern in this record (Cu Kα X-rays).

Most intense lines, 10° ≤ 2θ ≤ 90°, in order of falling intensity:
31.2 deg, d 2.865, I 1000; 31.9 deg, d 2.809, I 521; 39.2 deg, d 2.296, I 509; 31.8 deg, d 2.816, I 502; 33.1 deg, d 2.705, I 485; 39.1 deg, d 2.306, I 385; 27.7 deg, d 3.222, I 351; 23.5 deg, d 3.787, I 258; 29.5 deg, d 3.025, I 246; 26.6 deg, d 3.348, I 237

Cell: 9.181 7.588 14.236 Å, 90.00 90.14 90.00°
Element x y z (fractional)
K: 0.004 0.055 0.332
K: 0.004 0.445 0.832
K: 0.996 0.555 0.168
K: 0.996 0.945 0.668
Nd: 0.296 0.033 0.999
Nd: 0.296 0.467 0.499
Nd: 0.491 0.604 0.156
Nd: 0.491 0.896 0.656
Nd: 0.509 0.104 0.344
Nd: 0.509 0.396 0.844
Nd: 0.704 0.533 0.501
Nd: 0.704 0.967 0.001
Br: 0.026 0.673 0.421
Br: 0.026 0.827 0.921
Br: 0.247 0.649 0.684
Br: 0.247 0.851 0.184
Br: 0.260 0.160 0.794
Br: 0.260 0.340 0.294
Br: 0.289 0.047 0.499
Br: 0.289 0.453 0.999
Br: 0.476 0.693 0.366
Br: 0.476 0.807 0.866
Br: 0.524 0.193 0.134
Br: 0.524 0.307 0.634
Br: 0.711 0.547 0.001
Br: 0.711 0.953 0.501
Br: 0.740 0.660 0.706
Br: 0.740 0.840 0.206
Br: 0.753 0.149 0.816
Br: 0.753 0.351 0.316
Br: 0.974 0.173 0.079
Br: 0.974 0.327 0.579

----------

# Ge3Bi4O12
Simulated X-ray diffraction stick pattern, Cu Kα (λ = 1.5418 Å). Input: a cell relaxed with PBE.
No peak broadening, texture or thermal motion is included.

Main lines, by angle (10° ≤ 2θ ≤ 80°):
20.40°, rel. 59.1
26.44°, rel. 100.0
31.39°, rel. 99.7
41.49°, rel. 44.1
43.27°, rel. 32.6
52.94°, rel. 38.2
55.89°, rel. 23.6
61.50°, rel. 20.8

Structural model:
```
38
Lattice="-5.3308 5.3308 5.3308 5.3308 -5.3308 5.3308 5.3308 5.3308 -5.3308" Properties=species:S:1:pos:R:3 pbc="T T T"
Ge 7.9962 1.3327 0.0000
Ge 3.9981 0.0000 2.6654
Ge 2.6654 3.9981 0.0000
Ge 0.0000 2.6654 3.9981
Ge 1.3327 0.0000 7.9962
Ge 0.0000 7.9962 1.3327
Bi 4.4047 0.9261 -0.9261
Bi 7.0701 -1.7393 1.7393
Bi 0.9261 0.9261 0.9261
Bi 0.9261 -0.9261 4.4047
Bi -0.9261 4.4047 0.9261
Bi 1.7393 7.0701 -1.7393
Bi 3.5915 3.5915 3.5915
Bi -1.7393 1.7393 7.0701
O 4.8993 -1.3355 1.9185
O 6.0778 4.0010 -3.0969
O 6.6607 2.2339 -0.7469
O 7.2493 0.4315 1.3355
O 3.0969 0.7469 1.3299
O 4.0010 3.0969 -0.7469
O 4.0010 -3.0969 6.0778
O 3.0969 -0.7469 4.0010
*/
-- So much for the records of crystals --

Sounds like you had some pretty great food at your house. I probably should have stopped by!